Different test results from Instrument and command line - ios-ui-automation

I have a automated test script written in UIAutomation. If I run it from the Instrument, all tests are passed. If I run it from the command line, one of the test case will fail and result in the termination of test script running.
The failing test case is about triggering a UIAActivityIndictor and then show an Alert window.
I did some search online, and people are saying that the command line is faster than the Instrument. Sometimes, you need to make sure the UIAElement is valid. However, in my case, at that test case, it seems the command line lost the UIAElements hierarchy of the app. The result of logElementTree is only the target and the app, no window at all. And the UI seems frozen.
Any suggestions would be helpful.

I faced with similar issues. When UI is completely frozen it means that application has been put in infinite loop. In my case NSLog with huge output was the cause. To check that:
1) put really big sleep at some point in your script
2) run the script
3) attach xcode to the app: debug->attach to a process->your app's process
4) wait until freeze happen. Make sure of it manually
5) in xcode press pause execution
6) now you can see in stacktrace where the app is hanging

• Calculated molecules that have nothing to do with the text:
/*
[1]
{
  "formula": "C2FN3O4",
  "method": "ωB97M-V/def2-TZVPD",
  "symbols": ["N", "C", "C", "F", "N", "O", "O", "N", "O", "O"],
  "xyz": [[-1.135, 2.524, -0.588], [-0.617, 1.615, -0.201], [0.251, 0.157, 0.325], [1.367, 0.497, 0.958], [0.805, -0.437, -1.060], [1.968, -0.218, -1.145], [-0.051, -0.993, -1.688], [-0.658, -0.810, 0.955], [-0.477, -1.992, 0.726], [-1.453, -0.344, 1.719]],
  "lowdin_charge": [0.151, -0.048, -0.201, 0.156, -0.332, 0.164, 0.139, -0.329, 0.146, 0.155],
  "smiles": "N#CC(F)([N+](=O)[O-])[N+](=O)[O-]",
  "e_above_lowest_kcal_mol": 22.5,
  "spin_multiplicity": 1,
  "gap_ev": 10.55
}

---

[2]
{
  "formula": "C17H27NO3",
  "method": "ωB97M-V/def2-TZVPD",
  "symbols": ["C", "C", "C", "C", "O", "C", "C", "C", "N", "C", "O", "C", "C", "C", "O", "C", "C", "C", "C", "C", "C", "H", "H", "H", "H", "H", "H", "H", "H", "H", "H", "H", "H", "H", "H", "H", "H", "H", "H", "H", "H", "H", "H", "H", "H", "H", "H", "H"],
  "xyz": [[1.683, -5.195, -0.414], [1.633, -3.751, 0.073], [0.219, -3.337, 0.470], [0.177, -1.878, 0.925], [-1.138, -1.422, 1.191], [-1.642, -1.700, 2.484], [-1.208, -0.680, 3.547], [-1.745, 0.724, 3.257], [-1.190, 1.243, 2.031], [-0.380, 2.319, 1.976], [-0.186, 3.065, 2.913], [0.294, 2.481, 0.620], [1.650, 1.768, 0.679], [2.285, 1.532, -0.695], [1.633, 0.494, -1.402], [0.633, 0.745, -2.296], [0.002, -0.395, -2.801], [-1.015, -0.283, -3.725], [-1.423, 0.965, -4.168], [-0.798, 2.095, -3.676], [0.224, 1.995, -2.745], [2.697, -5.469, -0.692], [1.346, -5.873, 0.367], [1.041, -5.327, -1.281], [2.299, -3.634, 0.931], [1.994, -3.087, -0.716], [-0.140, -3.988, 1.272], [-0.456, -3.454, -0.379], [0.821, -1.741, 1.804], [0.550, -1.239, 0.119], [-2.730, -1.673, 2.379], [-1.350, -2.708, 2.802], [-1.580, -1.016, 4.516], [-0.117, -0.640, 3.599], [-1.467, 1.417, 4.056], [-2.838, 0.691, 3.179], [-1.243, 0.607, 1.245], [-0.334, 2.044, -0.156], [0.439, 3.542, 0.413], [1.526, 0.792, 1.154], [2.338, 2.354, 1.290], [3.309, 1.170, -0.555], [2.326, 2.457, -1.275], [0.332, -1.360, -2.451], [-1.494, -1.175, -4.102], [-2.220, 1.055, -4.890], [-1.104, 3.074, -4.013], [0.683, 2.901, -2.382]],
  "lowdin_charge": [-0.114, -0.269, -0.190, -0.222, -0.174, -0.210, -0.148, -0.170, 0.070, -0.511, 0.056, -0.095, -0.141, -0.183, -0.060, -0.275, -0.012, -0.083, -0.102, -0.084, -0.036, 0.068, 0.071, 0.071, 0.111, 0.106, 0.111, 0.120, 0.126, 0.105, 0.128, 0.117, 0.115, 0.112, 0.120, 0.123, 0.122, 0.105, 0.127, 0.108, 0.125, 0.129, 0.117, 0.108, 0.104, 0.098, 0.105, 0.103],
  "smiles": "CCCCOCCCNC(=O)CCCOc1ccccc1",
  "e_above_lowest_kcal_mol": 20.1,
  "spin_multiplicity": 1,
  "gap_ev": 9.40
}

---

[3]
{
  "formula": "C5H7INO",
  "method": "ωB97M-V/def2-TZVPD",
  "symbols": ["C", "C", "C", "C", "C", "N", "O", "I", "H", "H", "H", "H", "H", "H", "H"],
*/
• Here the text continues:


How can an uncalled test affect another in Go?

I have a test function TestJobqueue() in https://github.com/VertebrateResequencing/wr/blob/develop/jobqueue/jobqueue_test.go that I can call in isolation: go test -tags netgo ./jobqueue -v -run 'TestJobqueue$'.
I recently started getting test failures related to boltdb (one of my dependencies) bombing out with signal SIGBUS: bus error code panics, or just normally failing tests because the database couldn't be opened. But only when working off an NFS mounted directory. Fair enough, I or boltdb have some kind of NFS-related bug.
But the thing I can't wrap my head around is that I only get these errors when an entirely different test function exists.
As per the comments in TestREST() in https://github.com/VertebrateResequencing/wr/blob/92fb61ccd7819c8f1edfa8cce8468c4250d40ea7/jobqueue/rest_test.go, if I call Serve(serverConfig) (a function in the package being tested, a function call which is made many times in TestJobqueue() and other test functions) in that test function, TestJobqueue() fails. If I don't, it doesn't.
In short, the failure of tests in one test function can be controlled by the value of a boolean in a test function that I'm not running.
How is this possible?
Edit: to address some points brought up by the first answer, TestJobqueue() is being run in isolation. No other test runs before or after it. If the database file already exists, Serve() results in those files being deleted first, then a new one created to run the new set of tests. The odd thing that I'm seeking an answer for is how an unexecuted function can have this side effect. I can demonstrate it is really unexecuted by beginning or ending TestREST() with a panic call: the output of that panic is never seen, but TestJobqueue() failure can still be controlled by the boolean in TestREST() (if the panic comes at the end).
Edit2: this turns out to be caused by an unusual thing I do in TestJobqueue(), which is to call go test on itself. Needless to say, if you do this, strange things can happen...
In short, the failure of tests in one test function can be controlled by the value of a boolean in a test function that I'm not running.
This is not a great summary. Your test starts a server. The other test starts a server, clearly, the problem is there. You appear to have commented out the bit of code that stops the server at the end of the test? You can't run two servers on the same port.
You probably have a port conflict or some network condition that is triggered by running the two servers at once, because they both appear to use a similar (identical?) config loaded like this:
config := internal.ConfigLoad("development", true)
Running with no config uses default values, avoiding the conflict, running with config causes the conflict. So to pin it down, try creating a config with one setting at a time till you find the config setting that causes the problem (most likely Port or WebPort). Alternatively, make sure the tests stop the server at the end.
[EDIT] Looks like you have narrowed it down to DBFile config setting by changing one at a time. This implies the server starts a new db instance - if both try to use the same file for a new db, this would cause contention and the second test to run would fail.
It's not entirely clear from your description above what you're doing or what the problem is, so you could try to improve that to state exactly the sequence of actions and the problem. If for example you have previously run a test which creates a db, it could affect later test runs because of the presence of a db file, so your tests are not completely independent.
[EDIT 2 - after further edits to question]
If commenting out TestREST completely solves your problem (or a panic before it starts), and given changing it breaks the other test, you are executing TestREST somehow.
Looking at your code for jobqueue_test, it appears to invoke go test so you might be running more tests that you assume? Given you don't see the panic output I'd suspect your use of exec.Command in this big test. Try removing bits of the failing test till it works to narrow down exactly which invocation is running the other test. Calling go test within a test is pretty unusual!

How allow only one python code process to run if same is executed at the same time

if I have two or more running python console applications at the same time of same application, but executed several times by hand or any other way.
Is there any method from python code itself to stop all extra processes, close console window and keep running only one
The solution I would use would be to have a lockfile created in the tmp directory.
The first instance would start, check for the existence of the file, create the file since it is not there, then run; the following instances will start, check for the existence of the file, then quit since it's there. The original instance would remove the lockfile as its last instruction. NOTE: If the app runs into an error and does not execute the instruction to remove the lockfile, you would need to manually remove it else the app will always see the file.
I've seen on other threads that some suggest using the ps command and look for your app's name, which would work; however, if your app will ever run on Windows, you would need to use tasklist.

Application going down

I am trying to run a selenium script and the application also runs fine. But in some case all a sudden application goes down and this can happens at any stage of run the script.
So how to handle this because if Application goes down An Error page opens up and in script i may be trying to click a button or verifying something which doesn't happen and throws a exception.
Looks like its an application issue. You need to report the issue. Also it looks like you need to improve your infrastructure so that your application can run smoothly.
No recommaned: If you need to test it anyway, please add Thread.sleep(2000) after click() to make script execution slow.

How to close/stop a .NET application and re-execute it?

My application updates(running a vba script) an excel shared workbook, and since it is shared, there shouldn't be problems when someone else is using the same file at the same time. But for some reason, sometimes it simply freezes, without any error message, just freezes.
Is there a way to programatically make the application stops/closes automatically when frozen or after some minutes(In normal conditions, this updating process shouldn't take more than 1 minute)?
And, if possible, re-launch the app again automatically after some minutes for at least 5 attempts?
This way would ensure process completes succesfully.
I have had to do this same thing before but because I had an application that would look for updates to it's self on the network and then update it locally. Problem is, you cannot update the exe that is running.
What I did to get around it is to create another program that would wait a second, update the exe, then run the exe again.
Because I did this with a few different apps, I made my "Updater" generic so I could send some command line parameters and it would use those to copy and run.
If you want to try something else, you might be able to accomplish this same thing by creating a BAT file and running it. I'm not real good on BAT files so I can't help you there. But, it is another way to handle it.

Start seleniumRC from Fitnesse

I'm trying to integrate running Fitnesse tests from MSBuild im my nightly build on TFS.
In an attempt to make it self contained I would like to start the seleniumRC server only when it's needed from fitness.
I've seen that there is a "Command Line Fixture" but it's written in java can I use that?
I think you might be able to. You can call any process easily in MSBuild using the task. However, the problem with doing this is that the exec task will wait for the Selinium process to finish before continuing, which is not the bahaviour you want. You want to run the process, keep it running during your build and then tear it down as your build finishes.
Therefore, I think you are probably going to need to create a custom MSBuild task to do this. See the following post for an example of a tasks that someone has created that will run asynchronously returning control back to the build script:
And for an example of calling a Java program from MSBuild (but in this case synchronously) take a look at my task that calls Ant from MSBuild here
As part of your MSBuild task, you will want to output the process id that you created to an output property so that at the end of your build script you can call another custom MSBuild task that kills the process. It can do this by looking for the process id passed in as a variable in MSBuild and then call Process.Kill method i.e.
Process process = Process.GetProcessById(ProcessId);
That said, you would need to be careful to ensure that your kill task was always executed in MSBuild by making sure it was included during error paths etc in the build. You could probably make things a bit more resilient by making the selenium RC starter task look for other seleniumRC processes and killing them before starting a new one - that way if a process didn't get closed properly for some reason, it would only run until the next build.
Anyway - my answer sounds like a lot of work so hopefully someone else will come up with an easier way. You might be able to create the seleniumRC process in the test suite start up of the FitNesse tests and kill it in the suite tear down, or you might be able to write a custom task that extends your FitNesse runner tasks and fires up seleiniumRC asynronously before running the test process and then kills it afterwards.
Good luck,
Thanks for your replies!
This is how I've done so far.
I made a fit fixture (very simple) that starts a process with the supplied command line, in my case startSelenium.bat. The fixture returns the ProcessID so I can store that in my fitnesse context and close that session later.
I can now make a SuiteSetUp page in my fitnesse test that looks like this.
and a SuiteTearDown like this
That works for me. No selenium RC starts by request from my fitnesse test.
What about writing a simple .NET app that does a Process.Start("selenumRC commandline") which gets run by your build script?
If you aren't too far down the Selenium route; might I suggest that you look at similar .NET browser automation tools; specifically WatiN or ArtOfTest. The "stacks" in these are completely .NET, so getting them running on different machines is much easier.